Social Media Save Lives
The story of a handicapped Community Manager
## Misplaced crystal structures
____________
Simulated powder diffractogram
Compound: LiThSeN
Radiation: copper Kα
Structure: a structure optimized by DFT (GGA-PBE)

Peak list (8 most intense, 2θ = 10–90°, low angle first)
25.3°, intensity 15, (1 0 1)
27.6°, intensity 100, (1 0 4)
33.6°, intensity 17, (0 0 12)
33.8°, intensity 48, (0 1 8)
44.4°, intensity 33, (1 1 0)
53.0°, intensity 17, (0 2 4)
56.8°, intensity 23, (1 1 12)
71.5°, intensity 14, (2 1 4)

Crystal structure
```
data_LiThSeN
_chemical_formula_sum 'Li6 Th6 Se6 N6'
_symmetry_space_group_name_H-M 'R -3 m'
_symmetry_Int_Tables_number 166
_symmetry_space_group_name_Hall '-R 3 2"'
_cell_length_a 4.0850
_cell_length_b 4.0850
_cell_length_c 31.9698
_cell_angle_alpha 90.00
_cell_angle_beta 90.00
_cell_angle_gamma 120.00
loop_
_atom_site_label
_atom_site_fract_x
_atom_site_fract_y
_atom_site_fract_z
Li1 0.0000 0.0000 0.1945
Th1 0.0000 0.0000 0.3787
Se1 0.0000 0.0000 0.1121
N1 0.0000 0.0000 0.3050
```


This entry pairs a crystal structure of NpCd2Sb2 with its calculated PXRD pattern. Radiation: λ = 1.5418 Å (Cu Kα). Structure: a structure optimized by DFT (GGA-PBE).

Most intense lines, 10 to 90 degrees two-theta, sorted by position:
33.8 deg, intensity 100
34.9 deg, intensity 19
41.2 deg, intensity 31
55.0 deg, intensity 21
70.3 deg, intensity 12
70.4 deg, intensity 12

Structure:
```
NpCd2Sb2
1.0
2.194 -12.867 0.000
2.194 12.867 0.000
0.000 0.000 4.379
Np Cd Sb
2 4 4
Direct
0.155 0.845 0.750
0.845 0.155 0.250
____________
## So much for the crystal structures
Almost 4 years ago I suffered a motorcycle accident which put me in a wheelchair for good (or bad, I suppose). After overcoming traumas and pain, I thought about publishing an ad: “I trade superbike for a new wheelchair”, no matter how hard it hurt to swap 2 wheels for 4. But after all, “riding” in 4 wheels is not that bad. What it is really bad, and sad at the same time, is that in this country, for many companies –if not all- handicapped people seem not to be able to perform any job, despite their CV’s, experience and knowledge prove them wrong. They make a person to go from being handicapped to feel useless. That happened to me.
Feeling useless and unable to come back to work in the sector I used to work, or any other sector, I felt my life was non sense. Knowing that being paralyzed from the waist down, didn’t take away any of my creativity, intelligence, hands and arms motion, nor the ability to perform the jobs I used to perform, and knowing that none of these was perceived by the companies, I was depressed. My best friend, the angel she is, persuaded me to work in her agency as a Community Manager, a job which I thought it was piece of cake and lame, according to what I knew from Social Media: hollow comments, egocentric pictures and selfies in front of a mirror from girls pretending to be ducks.
I started working with very low expectations. But I crashed against a freight train instead. I started talking about SEO y SEM from the get-go, about organic impressions, tweets, comments and likes. I started to understand how important it is to share and re-tweet, the importance of and audience and the responsibility of creating and publishing relevant content for them. I understood the need to analyze every social media profile and that Google is not just a search engine. Now, Engagement and conversions, words unknown to me before, became my main goal. I learnt about Growth Hacking and how important are social media for a company’s growth, and the world’s development.
[Someone pasted records of crystals at this point]
........
[1]
Computed X-ray diffraction stick pattern
Compound: SnSe
Radiation: Cu Kα
Structure: DFT lattice parameters and positions (GGA-PBE)

Crystal structure
```
data_SnSe
_chemical_formula_sum 'Sn4 Se4'
_symmetry_space_group_name_H-M 'P n m a'
_symmetry_Int_Tables_number 62
_cell_length_a 11.790
_cell_length_b 4.219
_cell_length_c 4.524
_cell_angle_alpha 90.00
_cell_angle_beta 90.00
_cell_angle_gamma 90.00
loop_
_symmetry_equiv_pos_as_xyz
'x,y,z'
'-x,-y,-z'
'-x+1/2,-y,z+1/2'
'x+1/2,y,-z+1/2'
'x+1/2,-y+1/2,-z+1/2'
'-x+1/2,y+1/2,z+1/2'
'-x,y+1/2,-z'
'x,-y+1/2,z'
loop_
_atom_site_label
_atom_site_fract_x
_atom_site_fract_y
_atom_site_fract_z
Sn1 0.122 0.250 0.100
Se1 0.145 0.750 0.514
```

Principal peaks in the range 2θ from 10° to 80°, sorted by position:
| (hkl) | 2θ/deg | d/Å | intensity |
| --- | --- | --- | --- |
| 2 0 1 | 24.81 | 3.589 | 19 |
| 0 1 1 | 28.94 | 3.086 | 19 |
| 1 1 1 | 29.93 | 2.985 | 100 |
| 4 0 0 | 30.32 | 2.947 | 51 |
| 3 1 1 | 37.04 | 2.427 | 37 |
| 1 0 2 | 40.61 | 2.221 | 11 |
| 4 1 1 | 42.41 | 2.131 | 14 |
| 0 2 0 | 42.87 | 2.110 | 23 |
| 5 1 1 | 48.60 | 1.874 | 30 |
| 4 2 0 | 53.41 | 1.716 | 21 |

[2]
Computed X-ray diffraction stick pattern
Compound: Er3Sb4Pd8
Radiation: Cu Kα
Structure: DFT lattice parameters and positions (GGA-PBE)

Crystal structure
```
data_Er3Sb4Pd8
_chemical_formula_sum 'Er24 Sb32 Pd64'
_symmetry_space_group_name_H-M 'F m -3 m'
_symmetry_Int_Tables_number 225
_symmetry_space_group_name_Hall '-F 4 2 3'
_cell_length_a 13.257
_cell_length_b 13.257
_cell_length_c 13.257
_cell_angle_alpha 90.00
_cell_angle_beta 90.00
_cell_angle_gamma 90.00
loop_
_atom_site_label
_atom_site_fract_x
_atom_site_fract_y
_atom_site_fract_z
Er1 0.000 0.000 0.224
Sb1 0.000 0.000 0.000
Sb2 0.000 0.000 0.500
Sb3 0.000 0.250 0.250
Pd1 0.119 0.119 0.381
Pd2 0.166 0.166 0.166
```

Principal peaks in the range 2θ from 10° to 80°, sorted by position:
| (hkl) | 2θ/deg | d/Å | intensity |
| --- | --- | --- | --- |
| 4 2 0 | 30.15 | 2.964 | 9 |
| 4 2 2 | 33.10 | 2.706 | 8 |
| 3 3 3 | 35.18 | 2.551 | 34 |
| 4 4 0 | 38.41 | 2.343 | 100 |
| 5 3 1 | 40.25 | 2.241 | 7 |
| 6 0 0 | 40.84 | 2.209 | 7 |
| 8 0 0 | 55.45 | 1.657 | 9 |
| 9 3 1 | 67.39 | 1.390 | 9 |
| 8 4 4 | 69.47 | 1.353 | 21 |
| 9 5 1 | 73.96 | 1.282 | 8 |

[3]
Computed X-ray diffraction stick pattern
Compound: Li2YPCO7
Radiation: Cu Kα
Structure: DFT lattice parameters and positions (GGA-PBE)

Crystal structure
```
data_Li2YPCO7
_chemical_formula_sum 'Li4 Y2 P2 C2 O14'
_symmetry_space_group_name_H-M 'P 1 21/m 1'
_symmetry_Int_Tables_number 11
_cell_length_a 4.915
_cell_length_b 6.806
_cell_length_c 9.086
_cell_angle_alpha 90.00
_cell_angle_beta 93.09
_cell_angle_gamma 90.00
loop_
_symmetry_equiv_pos_as_xyz
'x,y,z'
'-x,-y,-z'
'-x,y+1/2,-z'
'x,-y+1/2,z'
loop_
_atom_site_label
_atom_site_fract_x
_atom_site_fract_y
_atom_site_fract_z
Li1 0.201 0.021 0.298
Y1 0.255 0.250 0.863
P1 0.276 0.750 0.907
C1 0.260 0.250 0.560
O1 0.026 0.250 0.623
O2 0.139 0.566 0.838
O3 0.245 0.750 0.080
........
The voices in my head turned into new ideas, expressed now through a keyboard and a mouse which in Corel Draw, Illustrator and Photoshop -my new allies- allow me to take over the world and build an image, recognition, for me and my company. My wheelchair is my office chair and despair is now a spreadsheet where I develop a social media strategy, a life strategy. My followers, my Friends. LinkedIn, Pinterest, Facebook y Twitter are now my platform to succeed. Estrategias Inc. my jet pack.
Humans are social beings and we need society to live and survive. Technology allows us to connect with others and social media feeds relationships which give everybody a reason to be.